**Exercise**
Print only the last part of the material underneath, starting with the line that has "data_Mg2Sc2TlCdAu2".

**Material**
+++
# ErTh2Ti

An optimized crystal structure of ErTh2Ti (PBE-GGA, Alexandria via LeMat-Bulk).

Unit cell a=3.3541 b=3.3541 c=11.9086 alpha=81.90 beta=81.90 gamma=60.00
Positions (direct):
Ti 0.0000 0.0000 0.0000
Th 0.0811 0.0811 0.7568
Er 0.5000 0.5000 0.5000
Th 0.9189 0.9189 0.2432

## Properties
SG ... No. 166
Relative energy among the computed polymorphs ... 117 kJ/mol of formula units
DOS at the Fermi energy ... 6.09 states/eV per cell
Electronic total energy ... -25.58 eV for the cell shown
Magnetic moment ... 0.000 μB per atom

~~~~~

1.
# Mg2Sc2TlCdAu2 (PBE, optimized geometry)
# - Uncorrected energy: -3.678 eV per atom
# - Size of the total moment: 0.000 μB/atom
data_Mg2Sc2TlCdAu2
_chemical_formula_sum 'Mg2 Sc2 Tl1 Cd1 Au2'
_space_group_name_H-M_alt 'P -4 m 2'
_space_group_IT_number 115
_cell_length_a 4.866
_cell_length_b 4.866
_cell_length_c 6.829
_cell_angle_alpha 90.00
_cell_angle_beta 90.00
_cell_angle_gamma 90.00
loop_
_space_group_symop_operation_xyz
'x,y,z'
'y,-x,-z'
'-x,-y,z'
'-y,x,-z'
'-x,y,z'
'-y,-x,-z'
'x,-y,z'
'y,x,-z'
loop_
_atom_site_label
_atom_site_fract_x
_atom_site_fract_y
_atom_site_fract_z
_atom_site_occupancy
Mg1 0.000 0.500 0.243 1
Sc1 0.000 0.500 0.752 1
Tl1 0.000 0.000 0.500 1
Cd1 0.500 0.500 0.000 1
Au1 0.000 0.000 0.000 1
Au2 0.500 0.500 0.500 1


2.
# Mg2Sc2ZnCdAu2 (PBE, optimized geometry)
# - Uncorrected energy: -3.585 eV per atom
# - Size of the total moment: 0.000 μB/atom
data_Mg2Sc2ZnCdAu2
_chemical_formula_sum 'Mg2 Sc2 Zn1 Cd1 Au2'
_space_group_name_H-M_alt 'P -4 m 2'
_space_group_IT_number 115
_cell_length_a 4.754
_cell_length_b 4.754
_cell_length_c 6.711
_cell_angle_alpha 90.00
_cell_angle_beta 90.00
_cell_angle_gamma 90.00
loop_
_space_group_symop_operation_xyz
'x,y,z'
'y,-x,-z'
'-x,-y,z'
'-y,x,-z'
'-x,y,z'
'-y,-x,-z'
'x,-y,z'
'y,x,-z'
loop_
_atom_site_label
_atom_site_fract_x
_atom_site_fract_y
_atom_site_fract_z
_atom_site_occupancy
Mg1 0.000 0.500 0.244 1
Sc1 0.000 0.500 0.760 1
Zn1 0.500 0.500 0.000 1
Cd1 0.000 0.000 0.500 1
Au1 0.000 0.000 0.000 1
Au2 0.500 0.500 0.500 1


3.
# YMgCdAu (PBE, optimized geometry)
# - Uncorrected energy: -3.491 eV per atom
# - Size of the total moment: 0.000 μB/atom
data_YMgCdAu
_chemical_formula_sum 'Y2 Mg2 Cd2 Au2'
_space_group_name_H-M_alt 'I m m 2'
_space_group_IT_number 44
_cell_length_a 4.942
_cell_length_b 4.947
_cell_length_c 6.985
_cell_angle_alpha 90.00
_cell_angle_beta 90.00
_cell_angle_gamma 90.00
loop_
_space_group_symop_operation_xyz
'x,y,z'
'-x,-y,z'
'-x,y,z'
'x,-y,z'
'x+1/2,y+1/2,z+1/2'
'-x+1/2,-y+1/2,z+1/2'
'-x+1/2,y+1/2,z+1/2'
'x+1/2,-y+1/2,z+1/2'
loop_
_atom_site_label
_atom_site_fract_x
_atom_site_fract_y
_atom_site_fract_z
_atom_site_occupancy
Y1 0.000 0.000 0.000 1
Mg1 0.000 0.500 0.751 1
Cd1 0.000 0.000 0.500 1
Au1 0.000 0.500 0.250 1


4.
# YMgCdAu (PBE, optimized geometry)
# - Uncorrected energy: -3.491 eV per atom
# - Size of the total moment: 0.000 μB/atom
data_YMgCdAu
_chemical_formula_sum 'Y2 Mg2 Cd2 Au2'
_space_group_name_H-M_alt 'I m m 2'
_space_group_IT_number 44
_cell_length_a 4.942
_cell_length_b 4.947
_cell_length_c 6.985
_cell_angle_alpha 90.00
_cell_angle_beta 90.00
_cell_angle_gamma 90.00
loop_
_space_group_symop_operation_xyz
'x,y,z'
'-x,-y,z'
'-x,y,z'
'x,-y,z'
'x+1/2,y+1/2,z+1/2'
'-x+1/2,-y+1/2,z+1/2'
'-x+1/2,y+1/2,z+1/2'
'x+1/2,-y+1/2,z+1/2'
loop_
_atom_site_label
_atom_site_fract_x
_atom_site_fract_y
_atom_site_fract_z
_atom_site_occupancy
Y1 0.000 0.000 0.000 1
Mg1 0.000 0.500 0.751 1
Cd1 0.000 0.000 0.500 1
Au1 0.000 0.500 0.250 1


5.
# CdMo4AuN2 (PBE, optimized geometry)
# - Uncorrected energy: -7.989 eV per atom
# - Size of the total moment: 0.002 μB/atom
data_CdMo4AuN2
_chemical_formula_sum 'Cd1 Mo4 Au1 N2'
_space_group_name_H-M_alt 'P -6 m 2'
_space_group_IT_number 187
_space_group_name_Hall 'P -6 2'
_cell_length_a 2.8762
_cell_length_b 2.8762
_cell_length_c 15.3617
_cell_angle_alpha 90.00
_cell_angle_beta 90.00
_cell_angle_gamma 120.00
loop_
_atom_site_label
_atom_site_fract_x
_atom_site_fract_y
+++

**Completed**
data_Mg2Sc2TlCdAu2
_chemical_formula_sum 'Mg2 Sc2 Tl1 Cd1 Au2'
_space_group_name_H-M_alt 'P -4 m 2'
_space_group_IT_number 115
_cell_length_a 4.866
_cell_length_b 4.866
_cell_length_c 6.829
_cell_angle_alpha 90.00
_cell_angle_beta 90.00
_cell_angle_gamma 90.00
loop_
_space_group_symop_operation_xyz
'x,y,z'
'y,-x,-z'
'-x,-y,z'
'-y,x,-z'
'-x,y,z'
'-y,-x,-z'
'x,-y,z'
'y,x,-z'
loop_
_atom_site_label
_atom_site_fract_x
_atom_site_fract_y
_atom_site_fract_z
_atom_site_occupancy
Mg1 0.000 0.500 0.243 1
Sc1 0.000 0.500 0.752 1
Tl1 0.000 0.000 0.500 1
Cd1 0.500 0.500 0.000 1
Au1 0.000 0.000 0.000 1
Au2 0.500 0.500 0.500 1


2.
# Mg2Sc2ZnCdAu2 (PBE, optimized geometry)
# - Uncorrected energy: -3.585 eV per atom
# - Size of the total moment: 0.000 μB/atom
data_Mg2Sc2ZnCdAu2
_chemical_formula_sum 'Mg2 Sc2 Zn1 Cd1 Au2'
_space_group_name_H-M_alt 'P -4 m 2'
_space_group_IT_number 115
_cell_length_a 4.754
_cell_length_b 4.754
_cell_length_c 6.711
_cell_angle_alpha 90.00
_cell_angle_beta 90.00
_cell_angle_gamma 90.00
loop_
_space_group_symop_operation_xyz
'x,y,z'
'y,-x,-z'
'-x,-y,z'
'-y,x,-z'
'-x,y,z'
'-y,-x,-z'
'x,-y,z'
'y,x,-z'
loop_
_atom_site_label
_atom_site_fract_x
_atom_site_fract_y
_atom_site_fract_z
_atom_site_occupancy
Mg1 0.000 0.500 0.244 1
Sc1 0.000 0.500 0.760 1
Zn1 0.500 0.500 0.000 1
Cd1 0.000 0.000 0.500 1
Au1 0.000 0.000 0.000 1
Au2 0.500 0.500 0.500 1


3.
# YMgCdAu (PBE, optimized geometry)
# - Uncorrected energy: -3.491 eV per atom
# - Size of the total moment: 0.000 μB/atom
data_YMgCdAu
_chemical_formula_sum 'Y2 Mg2 Cd2 Au2'
_space_group_name_H-M_alt 'I m m 2'
_space_group_IT_number 44
_cell_length_a 4.942
_cell_length_b 4.947
_cell_length_c 6.985
_cell_angle_alpha 90.00
_cell_angle_beta 90.00
_cell_angle_gamma 90.00
loop_
_space_group_symop_operation_xyz
'x,y,z'
'-x,-y,z'
'-x,y,z'
'x,-y,z'
'x+1/2,y+1/2,z+1/2'
'-x+1/2,-y+1/2,z+1/2'
'-x+1/2,y+1/2,z+1/2'
'x+1/2,-y+1/2,z+1/2'
loop_
_atom_site_label
_atom_site_fract_x
_atom_site_fract_y
_atom_site_fract_z
_atom_site_occupancy
Y1 0.000 0.000 0.000 1
Mg1 0.000 0.500 0.751 1
Cd1 0.000 0.000 0.500 1
Au1 0.000 0.500 0.250 1


4.
# YMgCdAu (PBE, optimized geometry)
# - Uncorrected energy: -3.491 eV per atom
# - Size of the total moment: 0.000 μB/atom
data_YMgCdAu
_chemical_formula_sum 'Y2 Mg2 Cd2 Au2'
_space_group_name_H-M_alt 'I m m 2'
_space_group_IT_number 44
_cell_length_a 4.942
_cell_length_b 4.947
_cell_length_c 6.985
_cell_angle_alpha 90.00
_cell_angle_beta 90.00
_cell_angle_gamma 90.00
loop_
_space_group_symop_operation_xyz
'x,y,z'
'-x,-y,z'
'-x,y,z'
'x,-y,z'
'x+1/2,y+1/2,z+1/2'
'-x+1/2,-y+1/2,z+1/2'
'-x+1/2,y+1/2,z+1/2'
'x+1/2,-y+1/2,z+1/2'
loop_
_atom_site_label
_atom_site_fract_x
_atom_site_fract_y
_atom_site_fract_z
_atom_site_occupancy
Y1 0.000 0.000 0.000 1
Mg1 0.000 0.500 0.751 1
Cd1 0.000 0.000 0.500 1
Au1 0.000 0.500 0.250 1


5.
# CdMo4AuN2 (PBE, optimized geometry)
# - Uncorrected energy: -7.989 eV per atom
# - Size of the total moment: 0.002 μB/atom
data_CdMo4AuN2
_chemical_formula_sum 'Cd1 Mo4 Au1 N2'
_space_group_name_H-M_alt 'P -6 m 2'
_space_group_IT_number 187
_space_group_name_Hall 'P -6 2'
_cell_length_a 2.8762
_cell_length_b 2.8762
_cell_length_c 15.3617
_cell_angle_alpha 90.00
_cell_angle_beta 90.00
_cell_angle_gamma 120.00
loop_
_atom_site_label
_atom_site_fract_x
_atom_site_fract_y